Before & After is the easiest way to create a Lead Capture Form in WordPress.
Lead Capture forms ask your visitors to complete a form before offering them access to a whitepaper, discount code, or other reward in exchange for permission to contact them.
This guide will walk you through creating a Lead Capture Form in just a few easy steps:
- Create a New Form
- Create a New Goal
- Display your Goal on your website
- Track Conversions and watch your leads come in!
That’s all! Now we’ll go through each step in more detail.
Step 1: Create a New Form
Create a new Form by visiting the Before & After > Forms menu in your WordPress dashboard and then clicking the Add New Form button.
You can use the form as it comes, or you can add or remove any fields you’d like.
Step 2: Create a New Goal
Create a new Goal by visiting the Before & After > Add New Goal menu in your WordPress dashboard.
- In the Before meta box, Select “Show A Form”. Then choose the form you just created from the drop down menu.
- In the After meta box, Select “Download A File” (or another option of your choice). Then fill out the details for your download (e.g., a whitepaper, ebook, etc).
- Click the Publish button to save your Goal
Step 3: Display your Goal anywhere on your Website
If you’re using WordPress 5.0 or newer, add a Goal Custom Block to any Page or Post. You can find it in the Before & After Section.
If you’re using an older version WordPress, use the Before & After button above the post editor to add the Goal to any page or post. Or you can copy and paste the goal shortcode from the previous screen into any Page or Post.
Now when visitors see that page they will first see your form. When they complete the form, they will then be given a link to download your whitepaper.
If a visitor comes back to the page, they won’t have to complete the form again (until their cookie expires). However, if they share the URL with a friend or colleague, that person will have to complete the form to gain access themselves.
Step 4: Track Conversions and watch your leads come in!
Use the Conversions screen to watch your leads come in! Its under the Goals menu.
We will capture any form data we can, and automatically match many fields (such as name and address). We’ll also do our best to geolocate your visitors, so you’ll know where they are coming from. See all of this data and more on the Conversions page.
Enjoy your new leads! If you have any questions please see the other documentation pages, or contact us for help.
Helpful Links:
Contact Form 7 users:
- How To Create a Lead Capture Form Using Before & After and Contact Form 7
- Contact Form 7 documentation
**The entry is interrupted by data records**
No. 1
! GGA-PBE Tl2CuOs, relaxed; values from VASP
! - D(E_F) (states/eV per atom) = 0.720
! - E_form (eV per atom) = 0.668
! - crystal system = tetragonal
&SYSTEM
  ibrav = 0, nat = 4, ntyp = 3
/
ATOMIC_SPECIES
Tl 204.38 Tl.upf
Cu 63.55 Cu.upf
Os 190.23 Os.upf
CELL_PARAMETERS angstrom
3.2760 0.0000 0.0000
0.0000 3.2760 0.0000
0.0000 0.0000 7.7132
ATOMIC_POSITIONS angstrom
Tl 0.0000 0.0000 0.0000
Tl 1.6380 1.6380 2.7573
Cu 0.0000 0.0000 4.7512
Os 1.6380 1.6380 5.7536



No. 2
! GGA-PBE TlCu2Os, relaxed; values from VASP
! - D(E_F) (states/eV per atom) = 0.682
! - E_form (eV per atom) = 0.631
! - crystal system = orthorhombic
&SYSTEM
  ibrav = 0, nat = 8, ntyp = 3
/
ATOMIC_SPECIES
Tl 204.38 Tl.upf
Cu 63.55 Cu.upf
Os 190.23 Os.upf
CELL_PARAMETERS angstrom
4.2409 0.0000 0.0000
0.0000 2.7732 0.0000
0.0000 0.0000 10.5179
ATOMIC_POSITIONS angstrom
Tl 0.0000 0.0000 0.0000
Tl 0.0000 1.3866 5.2589
Cu 0.0000 0.0000 7.8635
Cu 0.0000 1.3866 2.6046
Cu 2.1205 0.0000 6.5463
Cu 2.1205 1.3866 1.2874
Os 2.1205 0.0000 3.5896
Os 2.1205 1.3866 8.8485



No. 3
! GGA-PBE TlV2CuOs, relaxed; values from VASP
! - D(E_F) (states/eV per atom) = 1.265
! - E_form (eV per atom) = 1.284
! - crystal system = tetragonal
&SYSTEM
  ibrav = 0, nat = 5, ntyp = 4
/
ATOMIC_SPECIES
Tl 204.38 Tl.upf
V 50.94 V.upf
Cu 63.55 Cu.upf
Os 190.23 Os.upf
CELL_PARAMETERS angstrom
4.3941 0.0000 0.0000
0.0000 4.3941 0.0000
0.0000 0.0000 4.5910
ATOMIC_POSITIONS angstrom
Tl 0.0000 0.0000 0.0000
V 0.0000 2.1971 2.2955
V 2.1971 0.0000 2.2955
Cu 2.1971 2.1971 2.2955
Os 2.1971 2.1971 0.0000



No. 4
! GGA-PBE Tl2CuOsW, relaxed; values from VASP
! - D(E_F) (states/eV per atom) = 0.849
! - E_form (eV per atom) = 1.946
! - crystal system = tetragonal
&SYSTEM
  ibrav = 0, nat = 5, ntyp = 4
/
ATOMIC_SPECIES
Tl 204.38 Tl.upf
Cu 63.55 Cu.upf
Os 190.23 Os.upf
W 183.84 W.upf
CELL_PARAMETERS angstrom
4.7774 0.0000 0.0000
0.0000 4.7774 0.0000
0.0000 0.0000 4.7229
ATOMIC_POSITIONS angstrom
Tl 0.0000 2.3887 0.0000
Tl 2.3887 0.0000 0.0000
Cu 0.0000 0.0000 0.0000
Os 0.0000 0.0000 2.3614
W 2.3887 2.3887 2.3614



No. 5
! GGA-PBE TlZn2CuOs, relaxed; values from VASP
! - D(E_F) (states/eV per atom) = 0.684
! - E_form (eV per atom) = 0.924
! - crystal system = tetragonal
&SYSTEM
  ibrav = 0, nat = 5, ntyp = 4
/
ATOMIC_SPECIES
Tl 204.38 Tl.upf
Zn 65.41 Zn.upf
Cu 63.55 Cu.upf
Os 190.23 Os.upf
CELL_PARAMETERS angstrom
4.8309 0.0000 0.0000
0.0000 4.8309 0.0000
0.0000 0.0000 5.2039
ATOMIC_POSITIONS angstrom
Tl 0.0000 0.0000 0.0000
Zn 0.0000 2.4154 2.6020
Zn 2.4154 0.0000 2.6020
Cu 2.4154 2.4154 0.0000
Os 0.0000 0.0000 2.6020



No. 6
! GGA-PBE Tm3CuOs, relaxed; values from VASP
! - D(E_F) (states/eV per atom) = 0.804
! - E_form (eV per atom) = -0.258
! - crystal system = orthorhombic
&SYSTEM
  ibrav = 0, nat = 10, ntyp = 3
/
ATOMIC_SPECIES
Tm 168.93 Tm.upf
Cu 63.55 Cu.upf
Os 190.23 Os.upf
CELL_PARAMETERS angstrom
4.2453 0.0000 0.0000
0.0000 8.5733 0.0000
0.0000 0.0000 6.2210
ATOMIC_POSITIONS angstrom
Tm 1.0613 0.4657 1.3544
Gravity Forms users: